## Exercise
Reproduce everything underneath verbatim.

## Contents
+++
# 1
Below is a structure of composition C27H25BeBrS2Sb, with properties calculated with ωB97M-V with the def2-TZVPD basis set.

Summary:
HOMO level: -0.1534 Eh
Energy relative to the best compared isomer or geometry (same formula, charge and spin): 1.346 eV
Total charge: -1
LUMO level: 2.7 eV

```
57
C27H25BeBrS2Sb ωB97M-V with the def2-TZVPD basis set
Be 3.13818 1.13001 -0.25387
S 4.34438 -0.35169 -0.98077
C 4.77698 -0.21529 0.71163
C 6.11578 -0.31729 1.05893
C 6.52388 -0.20809 2.37513
C 5.57578 -0.02069 3.36693
C 4.23578 0.07571 3.03543
C 3.81798 0.00511 1.71343
S 2.13228 0.27901 1.31733
H 6.82468 -0.46289 0.25683
H 7.57868 -0.24919 2.61443
H 5.86888 0.07751 4.40303
H 3.48408 0.23111 3.79633
C -2.62982 -0.20849 -3.84337
C -3.40702 -0.27179 -2.56297
C -4.79102 -0.37689 -2.61547
C -5.55082 -0.44919 -1.46287
C -4.92622 -0.40869 -0.23137
C -3.54932 -0.29439 -0.17327
C -2.77892 -0.22889 -1.32107
Sb -0.60342 -0.05429 -1.09637
C -0.75482 1.81021 0.01853
C -1.04922 1.91521 1.36413
C -1.08272 3.14441 1.99923
C -0.82852 4.29391 1.27613
C -0.52432 4.19711 -0.06877
C -0.46592 2.96601 -0.70637
C -0.08532 2.91591 -2.15527
C -0.51662 -1.74569 0.27333
C -0.79602 -1.68679 1.62533
C -0.70662 -2.80919 2.43043
C -0.30222 -4.00969 1.88203
C 0.00738 -4.07369 0.53593
C -0.10162 -2.95739 -0.28157
C 0.22178 -3.07539 -1.74127
H -3.29972 -0.26449 -4.69977
H -1.92112 -1.03329 -3.90457
H -2.06362 0.71961 -3.90537
H -5.28482 -0.40309 -3.57897
H -6.62552 -0.53709 -1.53157
H -5.50782 -0.46669 0.67773
H -3.06682 -0.25979 0.79193
H -1.23342 1.03211 1.95373
H -1.29002 3.19671 3.06013
H -0.85222 5.26381 1.75523
H -0.30932 5.09061 -0.63687
H 0.26798 3.88781 -2.48487
H -0.93602 2.61421 -2.77067
H 0.72488 2.20521 -2.32147
H -1.07332 -0.75279 2.08353
H -0.94162 -2.73979 3.48403
H -0.21602 -4.89409 2.49863
H 0.34318 -5.01129 0.11063
H 0.43758 -4.10789 -2.00887
H 1.09248 -2.46599 -1.98987
H -0.61942 -2.72779 -2.34397
Br 3.17878 3.08821 -0.79837
```

=====

# 2
Below is a structure of composition C27H25BrN7O2Ru at a distorted geometry, with properties calculated with ωB97M-V with the def2-TZVPD basis set.

Summary:
HOMO level (alpha / beta): -0.5419 / -0.5429 Eh
Energy relative to the best compared isomer or geometry (same formula, charge and spin): 1.914 eV
Total charge: +3
2S+1: 5
LUMO level (alpha / beta): -8.3 / -12.2 eV
⟨S²⟩: 6.053

```
63
C27H25BrN7O2Ru ωB97M-V with the def2-TZVPD basis set
Ru -20.76938 -9.78962 1.90231
O -24.54833 -9.80353 -1.93964
C -23.88062 -10.88314 -2.39015
C -24.36761 -11.70021 -3.32350
C -23.60779 -12.87083 -3.69215
C -22.46524 -13.20111 -3.06447
C -21.90684 -12.39389 -2.05814
C -22.62273 -11.20895 -1.71821
C -22.14460 -10.18523 -0.67118
O -20.92138 -10.41428 -0.06105
N -23.14429 -10.03043 0.34055
N -22.68294 -9.48706 1.46287
C -23.38791 -8.79581 2.33393
C -22.60043 -8.08293 3.34676
Br -21.01250 -8.97625 4.15866
C -23.22421 -7.00796 3.99673
C -24.29692 -6.17143 3.53057
C -24.59356 -6.00982 2.16248
C -25.88608 -5.56152 1.79137
C -26.75007 -5.06789 2.78080
C -26.29896 -4.96345 4.14178
C -25.08489 -5.53983 4.53278
H -25.38855 -9.81624 -2.43045
H -25.34057 -11.67509 -3.73975
H -23.94559 -13.57120 -4.48405
H -21.95890 -14.08403 -3.45485
H -21.03666 -12.70178 -1.49758
H -22.07064 -9.22534 -1.25173
H -24.14101 -9.96929 0.11258
H -24.48453 -8.63920 2.23993
H -22.81177 -6.75216 4.96780
H -23.82864 -6.27138 1.39582
H -26.13971 -5.60380 0.73400
H -27.73990 -4.71617 2.51026
H -27.05556 -4.64141 4.90071
H -24.65681 -5.62291 5.55892
C -19.73681 -12.61164 2.55624
C -18.64728 -11.67961 2.36259
N -18.86924 -10.41251 1.96553
C -17.67361 -9.73820 2.17254
C -16.72568 -10.56532 2.68904
N -17.29362 -11.85068 2.65395
C -16.73761 -13.04136 3.25327
N -15.66265 -13.67564 2.46115
N -14.74850 -14.45801 3.17603
N -13.90584 -14.97771 2.35753
C -14.27839 -14.68491 1.01994
C -13.63559 -15.00557 -0.19171
C -14.15628 -14.35836 -1.28678
C -15.10148 -13.29967 -1.23079
C -15.76430 -13.02314 -0.06990
C -15.44518 -13.83915 1.05821
H -20.33761 -12.59049 1.69199
+++

## Response
# 1
Below is a structure of composition C27H25BeBrS2Sb, with properties calculated with ωB97M-V with the def2-TZVPD basis set.

Summary:
HOMO level: -0.1534 Eh
Energy relative to the best compared isomer or geometry (same formula, charge and spin): 1.346 eV
Total charge: -1
LUMO level: 2.7 eV

```
57
C27H25BeBrS2Sb ωB97M-V with the def2-TZVPD basis set
Be 3.13818 1.13001 -0.25387
S 4.34438 -0.35169 -0.98077
C 4.77698 -0.21529 0.71163
C 6.11578 -0.31729 1.05893
C 6.52388 -0.20809 2.37513
C 5.57578 -0.02069 3.36693
C 4.23578 0.07571 3.03543
C 3.81798 0.00511 1.71343
S 2.13228 0.27901 1.31733
H 6.82468 -0.46289 0.25683
H 7.57868 -0.24919 2.61443
H 5.86888 0.07751 4.40303
H 3.48408 0.23111 3.79633
C -2.62982 -0.20849 -3.84337
C -3.40702 -0.27179 -2.56297
C -4.79102 -0.37689 -2.61547
C -5.55082 -0.44919 -1.46287
C -4.92622 -0.40869 -0.23137
C -3.54932 -0.29439 -0.17327
C -2.77892 -0.22889 -1.32107
Sb -0.60342 -0.05429 -1.09637
C -0.75482 1.81021 0.01853
C -1.04922 1.91521 1.36413
C -1.08272 3.14441 1.99923
C -0.82852 4.29391 1.27613
C -0.52432 4.19711 -0.06877
C -0.46592 2.96601 -0.70637
C -0.08532 2.91591 -2.15527
C -0.51662 -1.74569 0.27333
C -0.79602 -1.68679 1.62533
C -0.70662 -2.80919 2.43043
C -0.30222 -4.00969 1.88203
C 0.00738 -4.07369 0.53593
C -0.10162 -2.95739 -0.28157
C 0.22178 -3.07539 -1.74127
H -3.29972 -0.26449 -4.69977
H -1.92112 -1.03329 -3.90457
H -2.06362 0.71961 -3.90537
H -5.28482 -0.40309 -3.57897
H -6.62552 -0.53709 -1.53157
H -5.50782 -0.46669 0.67773
H -3.06682 -0.25979 0.79193
H -1.23342 1.03211 1.95373
H -1.29002 3.19671 3.06013
H -0.85222 5.26381 1.75523
H -0.30932 5.09061 -0.63687
H 0.26798 3.88781 -2.48487
H -0.93602 2.61421 -2.77067
H 0.72488 2.20521 -2.32147
H -1.07332 -0.75279 2.08353
H -0.94162 -2.73979 3.48403
H -0.21602 -4.89409 2.49863
H 0.34318 -5.01129 0.11063
H 0.43758 -4.10789 -2.00887
H 1.09248 -2.46599 -1.98987
H -0.61942 -2.72779 -2.34397
Br 3.17878 3.08821 -0.79837
```

=====

# 2
Below is a structure of composition C27H25BrN7O2Ru at a distorted geometry, with properties calculated with ωB97M-V with the def2-TZVPD basis set.

Summary:
HOMO level (alpha / beta): -0.5419 / -0.5429 Eh
Energy relative to the best compared isomer or geometry (same formula, charge and spin): 1.914 eV
Total charge: +3
2S+1: 5
LUMO level (alpha / beta): -8.3 / -12.2 eV
⟨S²⟩: 6.053

```
63
C27H25BrN7O2Ru ωB97M-V with the def2-TZVPD basis set
Ru -20.76938 -9.78962 1.90231
O -24.54833 -9.80353 -1.93964
C -23.88062 -10.88314 -2.39015
C -24.36761 -11.70021 -3.32350
C -23.60779 -12.87083 -3.69215
C -22.46524 -13.20111 -3.06447
C -21.90684 -12.39389 -2.05814
C -22.62273 -11.20895 -1.71821
C -22.14460 -10.18523 -0.67118
O -20.92138 -10.41428 -0.06105
N -23.14429 -10.03043 0.34055
N -22.68294 -9.48706 1.46287
C -23.38791 -8.79581 2.33393
C -22.60043 -8.08293 3.34676
Br -21.01250 -8.97625 4.15866
C -23.22421 -7.00796 3.99673
C -24.29692 -6.17143 3.53057
C -24.59356 -6.00982 2.16248
C -25.88608 -5.56152 1.79137
C -26.75007 -5.06789 2.78080
C -26.29896 -4.96345 4.14178
C -25.08489 -5.53983 4.53278
H -25.38855 -9.81624 -2.43045
H -25.34057 -11.67509 -3.73975
H -23.94559 -13.57120 -4.48405
H -21.95890 -14.08403 -3.45485
H -21.03666 -12.70178 -1.49758
H -22.07064 -9.22534 -1.25173
H -24.14101 -9.96929 0.11258
H -24.48453 -8.63920 2.23993
H -22.81177 -6.75216 4.96780
H -23.82864 -6.27138 1.39582
H -26.13971 -5.60380 0.73400
H -27.73990 -4.71617 2.51026
H -27.05556 -4.64141 4.90071
H -24.65681 -5.62291 5.55892
C -19.73681 -12.61164 2.55624
C -18.64728 -11.67961 2.36259
N -18.86924 -10.41251 1.96553
C -17.67361 -9.73820 2.17254
C -16.72568 -10.56532 2.68904
N -17.29362 -11.85068 2.65395
C -16.73761 -13.04136 3.25327
N -15.66265 -13.67564 2.46115
N -14.74850 -14.45801 3.17603
N -13.90584 -14.97771 2.35753
C -14.27839 -14.68491 1.01994
C -13.63559 -15.00557 -0.19171
C -14.15628 -14.35836 -1.28678
C -15.10148 -13.29967 -1.23079
C -15.76430 -13.02314 -0.06990
C -15.44518 -13.83915 1.05821
H -20.33761 -12.59049 1.69199